Page 60 of Mafia Baby

“Just a few minutes,” I tell him. “I’m so sorry, Dom. I didn’t know.”

“He fooled us all, baby,” Dom says, sitting up with a wince and looking down at me. “He broke your arm.”

I nod and then grimace. “And a rib or two.”

“Is the baby, okay?” Dom asks.

I sigh. “I think so,” I say. I feel myself start crying again. “But Dom, I think he’s going to kill me. I wasn’t going to tell him because he hates you so much.”

Dom pulls a face and runs a hand through his hair. “I shouldn’t have said that. I’m so sorry. God, I’m so sorry.”

“No use crying over spilled milk,” I say, cradling my broken arm against my body. Dom slides over to me and cautiously pulls me over to him.

“Why didn’t you tell me about the baby?” he says to me.

I sigh, then squeak at the pain the motion causes in my ribs. “I didn’t want to distract you….and I didn’t know if you’d be…happy about it.”

-- begin --
The following is a DFT calculation (ωB97M-V/def2-TZVPD) of a 16-piece molecular cluster, C45H127N5O16 overall at a distorted geometry.

Geometry as ORCA input:
```
! RIJCOSX wB97M-V def2-TZVPD def2/J DEFGRID3
* xyz 0 1
C -7.740 -3.255 1.824
H -2.283 -2.986 6.308
O -2.000 5.177 -4.286
N -1.138 -2.564 -1.261
H -3.192 13.066 1.034
H -0.722 -2.579 0.746
H -0.715 -0.089 1.047
H -0.109 -1.537 7.801
C -0.555 -1.955 -0.132
C 6.226 -6.995 4.711
H -6.046 9.158 2.982
H -1.722 4.364 -4.713
H 0.727 6.927 5.648
H -1.248 5.382 -7.007
H 12.489 -6.208 -3.671
H -9.275 4.715 -4.052
H -0.988 7.128 1.070
C -9.412 3.820 -3.446
H -3.362 -8.016 0.176
H -2.346 4.511 5.886
H 1.755 -0.059 -8.380
H -8.275 -5.358 2.320
C -0.008 -7.668 -4.814
H 1.556 -0.520 -5.927
H -2.773 9.943 2.433
H -3.960 10.516 0.063
H -8.896 1.725 -3.600
N -2.799 10.952 2.463
C -4.126 11.305 2.067
H 0.311 -8.615 -5.248
H -7.843 4.164 -1.961
N 4.824 -5.296 5.907
H 6.730 -6.457 -3.128
H 4.848 -0.825 5.483
O 5.163 0.060 5.284
N -0.051 6.958 0.736
H 1.339 4.767 -0.023
C 9.371 2.826 0.466
C -8.919 4.013 -2.043
H -1.852 6.933 -7.215
O 0.173 0.936 -5.673
C 4.884 -6.604 5.282
H -5.188 -3.827 -5.136
C 0.483 5.968 1.615
C 0.780 -6.631 -5.555
H -4.021 6.965 -4.109
H -0.723 -2.653 5.681
H -1.727 -6.686 -4.399
H -5.767 7.659 2.192
O -10.847 3.549 -3.370
O -3.762 -7.644 2.146
H -4.769 11.210 2.942
H -0.328 5.257 1.777
H -4.191 -2.390 -6.319
H 9.894 -8.096 -3.826
H 1.253 -1.219 -1.139
C 1.300 0.461 -6.328
H 10.597 -7.978 -6.386
H -7.651 -3.087 4.054
H 0.174 -6.556 -3.278
H 8.015 -8.140 3.142
H 6.570 -6.361 3.894
H 0.386 -6.597 -6.570
H -4.339 4.178 5.441
C -1.495 6.271 -6.427
H 3.893 -5.217 6.289
H -8.968 -2.221 3.250
H -1.294 -1.888 -1.996
H -8.051 -2.456 1.152
H -2.576 -9.054 1.329
C 8.308 1.719 0.587
C -1.951 -1.955 8.840
C 7.834 1.126 -0.778
H -3.321 5.187 -5.755
H 10.678 -5.321 -4.842
H 10.286 2.430 0.025
H 7.703 -7.796 -2.576
C 0.974 0.416 -7.788
O -2.534 -0.559 0.297
H 0.788 -5.644 -5.094
C -2.848 -8.016 1.137
H -4.325 4.593 7.210
C 10.766 -6.407 -4.875
H -0.271 6.485 -0.129
O -0.282 6.870 3.831
H 3.451 1.004 -6.346
C -3.982 12.758 1.720
H 3.811 -7.729 3.791
C -1.122 -0.536 0.140
C 0.945 -1.914 -0.358
H 4.121 -6.098 3.282
C 1.633 5.416 0.801
H -3.677 7.746 -5.648
H 7.528 1.916 -1.463
C -4.674 10.503 0.887
C 4.173 0.957 5.807
H 6.938 -6.981 5.536
H 8.652 0.659 -1.326
C -3.115 0.718 0.204
H -2.071 -7.253 1.193
H -7.434 -1.542 3.130
H -11.123 3.460 -4.285
H 7.002 1.924 1.943
C -4.002 3.895 6.438
C 3.874 -6.703 4.154
O -2.630 3.713 6.339
H -9.619 -4.448 1.675
H -2.122 11.183 1.750
C -8.538 -4.573 1.611
H 1.408 -1.683 0.602
H -1.777 -1.323 6.013
C -5.341 -2.775 -4.895
H -9.032 2.490 -5.101
H -2.033 -8.398 -4.877
H 0.513 8.479 5.002
O -4.177 -2.101 -5.404
O -4.720 9.133 1.321
H 2.286 4.845 1.461
H 4.408 2.012 5.668
H -0.864 7.559 5.628
H 3.253 0.659 5.303
H 8.718 0.923 1.209
H -2.112 -2.652 -1.009
C 0.040 7.497 5.023
N 12.160 -6.641 -4.522
H 1.376 7.596 2.881
H -2.800 1.241 -0.699
H 6.940 0.509 -0.690
-- stop --
So much for the quantum chemistry results.

“Oh, my love,” Dom says with a big sigh. “That’s my fault. I didn’t tell you anything about how I felt about anything, I suppose.”

“It’s okay,” I whisper, but it’s not really. I start sobbing, both with emotion and the pain that the emotion is causing me.

“Gianna,” Dom says to me. “I need to tell you something. Can you look at me?”

I sniff and look up at him. He’s blurry due to the tears in my eyes.

“Gianna Bianchi, I have loved you since the first moment that you walked up to me in the club. I have loved you for weeks without even realizing it. You make my days and my nights so much better, so much less lonely….so complete. I am thrilled beyond words that you are pregnant with my child. I only wish that I was going to be here to meet them when they are born.”

I start sobbing harder. I manage to say, “I love you too. So much that it hurts me to think of being away from you. Don’t leave me, Dom.”

“I don’t know that I can keep that promise,” he says to me. His voice sounds thick, as if he’s holding back tears as well. “What I can tell you is that I let Vince know where we are, and he’s on his way. He’s not that close, so we need to think of ways to keep your brother busy and buy us some time. I don’t think it will help me, but it might help you to escape.”

“Okay,” I say with another snotty sniffle. “What’s the plan?”

“I’m going to offer myself up to him,” Dom says, and I immediately shake my head.

“No!” I cry out.

He places a finger to his lips. “Hush, hear me out,” he says to me. “The way I want to offer myself up to him will help stall for time.”

“Dom, I just want us to be together. We could run away. He’s terrible. You can just kill him, and we can escape,” I plead.

Dom smiles at me sadly. “He’s not alone here,” he says to me. Just because we haven’t seen them doesn’t mean that they aren’t here. If I attack him, they’ll pour in here and kill us without a second thought. He isn’t friends with the nicest people, as you know. I can’t count on being able to bribe them as most of them probably hate me for killing their friends for years.”

I nod slowly, processing what he has said. I realize he’s probably right. I would trade myself for him in a heartbeat, but I can’t with the baby.

I have to think about our child first and foremost. I wish that I thought I could guess what my brother was up to, but I just have no idea who The Cobra is.

Until a couple of hours ago, I would have said that I knew my brother better than anyone else on earth. Now, however, I don’t think I can reasonably hazard a guess about what his plan is.

“I love you,” I tell him.

“I love you too,” he says back and kisses me tenderly. “I need you to trust me, okay?”

“Okay,” I say back, feeling like a small, helpless child.

“No matter what I decide to do from here, I need you to just play along. It’s the best chance you and the baby will have to survive, okay? When they let you go, you need to use the burner phone in the car that’s parked outside and call Vince. His number will be the last missed call. Tell him what’s going on. Then you need to drive away. Go as far away as you can. Leave the tracking function on my phone running so Vince can find you. Make sure you wait to go to a hospital until you know that you aren’t being tailed.”

He presses the keys to a vehicle into my hands. I stare at them as if I’ve never seen car keys before.